(Input)
<<<
Dy2Ho2GeI5: computed powder XRD pattern (CuKα), based on a cell relaxed with PBE.
Intensities are scaled so that the largest is 100.

Cell and atoms:
a = 19.075 Å, b = 4.198 Å, c = 8.774 Å
α = 90.00°, β = 102.82°, γ = 90.00°
Space group C2/m (No. 12)
Asymmetric unit:
1 Dy 0.147 0.000 0.074 (multiplicity 4)
2 Ho 0.000 0.500 0.211 (multiplicity 4)
3 Ge 0.000 0.000 0.000 (multiplicity 2)
4 I 0.000 0.000 0.500 (multiplicity 2)
5 I 0.166 0.500 0.337 (multiplicity 4)
6 I 0.171 0.500 0.829 (multiplicity 4)

Largest 6 diffraction maxima, sorted by position, 5° ≤ 2θ ≤ 70°:
- hkl 0 0 1, 10.34°, I 29
- hkl 6 0 0, 28.80°, I 49
- hkl 1 1 -2, 29.45°, I 100
- hkl 5 1 2, 41.54°, I 34
- hkl 7 1 -2, 41.78°, I 33
- hkl 0 2 0, 43.09°, I 19

~~~~~

BeSiCl: computed X-ray powder pattern (Cu Kα (λ = 1.5418 Å)), based on a structure optimized by DFT (PBE).
Lines closer than 0.1° are merged.

Top 10 peaks for 15° ≤ 2θ ≤ 90°, sorted by position:
2θ 16.4, I = 46, hkl 2 0 -1; 2θ 25.8, I = 100, hkl 2 0 -2; 2θ 27.4, I = 43, hkl 1 1 -1; 2θ 28.7, I = 34, hkl 2 0 1; 2θ 30.0, I = 30, hkl 0 0 2; 2θ 32.2, I = 78, hkl 1 1 1; 2θ 33.6, I = 67, hkl 3 1 -1; 2θ 46.5, I = 38, hkl 3 1 -3; 2θ 49.4, I = 22, hkl 0 2 0; 2θ 52.3, I = 34, hkl 5 1 0

Atomic structure:
```
BeSiCl
1.0
11.5568 0.0000 0.0000
0.0000 3.6917 0.0000
-3.5531 0.0000 5.9507
Be Si Cl
4 4 4
Direct
0.1052 0.0000 0.2129
0.3948 0.5000 0.7871
0.6052 0.5000 0.2129
0.8948 0.0000 0.7871
0.1807 0.5000 0.4811
0.3193 0.0000 0.5189
0.6807 0.0000 0.4811
0.8193 0.5000 0.5189
0.0973 0.0000 0.9125
0.4027 0.5000 0.0875
0.5973 0.5000 0.9125
0.9027 0.0000 0.0875
```

~~~~~

No. 1
For Ce2Th3ScSe6, a GGA-PBE-relaxed structure gives the theoretical X-ray diffraction stick pattern in this record (Cu Kα).
No peak broadening, texture or thermal motion is included.

Main lines, sorted by position (2θ = 10–90°):
hkl	2theta	Rel. int.
2 0 -1	12.8	10.0
4 0 1	25.4	9.1
2 0 2	26.5	17.3
1 1 -2	30.5	100.0
7 1 -2	43.2	38.1
0 2 0	44.1	36.2
6 2 0	54.6	19.1
2 2 -4	63.4	8.1
8 2 -4	71.3	16.9
1 3 -2	72.7	10.9

Atomic structure:
```
data_Ce2Th3ScSe6
_cell_length_a 18.2058
_cell_length_b 4.1062
_cell_length_c 8.3904
_cell_angle_alpha 90.00
_cell_angle_beta 105.11
_cell_angle_gamma 90.00
_space_group_name_H-M_alt 'C 1 2/m 1'
_space_group_IT_number 12
loop_
_space_group_symop_operation_xyz
'x,y,z'
'-x,-y,-z'
'-x,y,-z'
'x,-y,z'
'x+1/2,y+1/2,z'
'-x+1/2,-y+1/2,-z'
'-x+1/2,y+1/2,-z'
'x+1/2,-y+1/2,z'
loop_
_atom_site_label
_atom_site_type_symbol
_atom_site_fract_x
_atom_site_fract_y
_atom_site_fract_z
Ce1 Ce 0.1656 0.0000 0.3326
Th1 Th 0.0000 0.5000 0.5000
Th2 Th 0.1698 0.0000 0.8337
Sc1 Sc 0.0000 0.5000 0.0000
Se1 Se 0.0015 0.0000 0.7700
Se2 Se 0.1576 0.5000 0.0804
Se3 Se 0.1682 0.5000 0.5801
```

No. 2
For CaPmMgRu, a GGA-PBE-relaxed structure gives the theoretical X-ray diffraction stick pattern in this record (Cu Kα).
No peak broadening, texture or thermal motion is included.

Main lines, sorted by position (2θ = 10–90°):
hkl	2theta	Rel. int.
1 1 1	21.3	39.2
2 2 0	35.1	100.0
3 1 1	41.4	21.4
4 0 0	50.5	17.4
3 3 1	55.4	9.3
4 2 2	63.0	35.2
5 1 1	67.3	7.0
4 4 0	74.2	10.7
5 3 1	78.2	6.9
6 2 0	84.8	15.1

Atomic structure:
```
data_CaPmMgRu
_cell_length_a 7.2319
_cell_length_b 7.2319
_cell_length_c 7.2319
_cell_angle_alpha 90.00
_cell_angle_beta 90.00
_cell_angle_gamma 90.00
_space_group_name_H-M_alt 'F -4 3 m'
_space_group_IT_number 216
_space_group_name_Hall 'F -4 2 3'
loop_
_atom_site_label
_atom_site_type_symbol
_atom_site_fract_x
_atom_site_fract_y
_atom_site_fract_z
Ca1 Ca 0.0000 0.0000 0.0000
Pm1 Pm 0.0000 0.0000 0.5000
Mg1 Mg 0.2500 0.2500 0.2500
Ru1 Ru 0.2500 0.2500 0.7500
```

No. 3
For Mg3Zn2Rh2, a GGA-PBE-relaxed structure gives the theoretical X-ray diffraction stick pattern in this record (Cu Kα).
No peak broadening, texture or thermal motion is included.

Main lines, sorted by position (2θ = 10–90°):
hkl	2theta	Rel. int.
0 0 1	10.7	100.0
2 0 -1	18.6	28.4
1 1 1	35.1	19.2
2 0 -4	38.1	22.9
4 0 -1	39.1	11.8
1 1 2	41.5	53.9
3 1 -2	41.7	55.7
>>>

(Activity)
Could you print the material above without additions?

(Reply)
Dy2Ho2GeI5: computed powder XRD pattern (CuKα), based on a cell relaxed with PBE.
Intensities are scaled so that the largest is 100.

Cell and atoms:
a = 19.075 Å, b = 4.198 Å, c = 8.774 Å
α = 90.00°, β = 102.82°, γ = 90.00°
Space group C2/m (No. 12)
Asymmetric unit:
1 Dy 0.147 0.000 0.074 (multiplicity 4)
2 Ho 0.000 0.500 0.211 (multiplicity 4)
3 Ge 0.000 0.000 0.000 (multiplicity 2)
4 I 0.000 0.000 0.500 (multiplicity 2)
5 I 0.166 0.500 0.337 (multiplicity 4)
6 I 0.171 0.500 0.829 (multiplicity 4)

Largest 6 diffraction maxima, sorted by position, 5° ≤ 2θ ≤ 70°:
- hkl 0 0 1, 10.34°, I 29
- hkl 6 0 0, 28.80°, I 49
- hkl 1 1 -2, 29.45°, I 100
- hkl 5 1 2, 41.54°, I 34
- hkl 7 1 -2, 41.78°, I 33
- hkl 0 2 0, 43.09°, I 19

~~~~~

BeSiCl: computed X-ray powder pattern (Cu Kα (λ = 1.5418 Å)), based on a structure optimized by DFT (PBE).
Lines closer than 0.1° are merged.

Top 10 peaks for 15° ≤ 2θ ≤ 90°, sorted by position:
2θ 16.4, I = 46, hkl 2 0 -1; 2θ 25.8, I = 100, hkl 2 0 -2; 2θ 27.4, I = 43, hkl 1 1 -1; 2θ 28.7, I = 34, hkl 2 0 1; 2θ 30.0, I = 30, hkl 0 0 2; 2θ 32.2, I = 78, hkl 1 1 1; 2θ 33.6, I = 67, hkl 3 1 -1; 2θ 46.5, I = 38, hkl 3 1 -3; 2θ 49.4, I = 22, hkl 0 2 0; 2θ 52.3, I = 34, hkl 5 1 0

Atomic structure:
```
BeSiCl
1.0
11.5568 0.0000 0.0000
0.0000 3.6917 0.0000
-3.5531 0.0000 5.9507
Be Si Cl
4 4 4
Direct
0.1052 0.0000 0.2129
0.3948 0.5000 0.7871
0.6052 0.5000 0.2129
0.8948 0.0000 0.7871
0.1807 0.5000 0.4811
0.3193 0.0000 0.5189
0.6807 0.0000 0.4811
0.8193 0.5000 0.5189
0.0973 0.0000 0.9125
0.4027 0.5000 0.0875
0.5973 0.5000 0.9125
0.9027 0.0000 0.0875
```

~~~~~

No. 1
For Ce2Th3ScSe6, a GGA-PBE-relaxed structure gives the theoretical X-ray diffraction stick pattern in this record (Cu Kα).
No peak broadening, texture or thermal motion is included.

Main lines, sorted by position (2θ = 10–90°):
hkl	2theta	Rel. int.
2 0 -1	12.8	10.0
4 0 1	25.4	9.1
2 0 2	26.5	17.3
1 1 -2	30.5	100.0
7 1 -2	43.2	38.1
0 2 0	44.1	36.2
6 2 0	54.6	19.1
2 2 -4	63.4	8.1
8 2 -4	71.3	16.9
1 3 -2	72.7	10.9

Atomic structure:
```
data_Ce2Th3ScSe6
_cell_length_a 18.2058
_cell_length_b 4.1062
_cell_length_c 8.3904
_cell_angle_alpha 90.00
_cell_angle_beta 105.11
_cell_angle_gamma 90.00
_space_group_name_H-M_alt 'C 1 2/m 1'
_space_group_IT_number 12
loop_
_space_group_symop_operation_xyz
'x,y,z'
'-x,-y,-z'
'-x,y,-z'
'x,-y,z'
'x+1/2,y+1/2,z'
'-x+1/2,-y+1/2,-z'
'-x+1/2,y+1/2,-z'
'x+1/2,-y+1/2,z'
loop_
_atom_site_label
_atom_site_type_symbol
_atom_site_fract_x
_atom_site_fract_y
_atom_site_fract_z
Ce1 Ce 0.1656 0.0000 0.3326
Th1 Th 0.0000 0.5000 0.5000
Th2 Th 0.1698 0.0000 0.8337
Sc1 Sc 0.0000 0.5000 0.0000
Se1 Se 0.0015 0.0000 0.7700
Se2 Se 0.1576 0.5000 0.0804
Se3 Se 0.1682 0.5000 0.5801
```

No. 2
For CaPmMgRu, a GGA-PBE-relaxed structure gives the theoretical X-ray diffraction stick pattern in this record (Cu Kα).
No peak broadening, texture or thermal motion is included.

Main lines, sorted by position (2θ = 10–90°):
hkl	2theta	Rel. int.
1 1 1	21.3	39.2
2 2 0	35.1	100.0
3 1 1	41.4	21.4
4 0 0	50.5	17.4
3 3 1	55.4	9.3
4 2 2	63.0	35.2
5 1 1	67.3	7.0
4 4 0	74.2	10.7
5 3 1	78.2	6.9
6 2 0	84.8	15.1

Atomic structure:
```
data_CaPmMgRu
_cell_length_a 7.2319
_cell_length_b 7.2319
_cell_length_c 7.2319
_cell_angle_alpha 90.00
_cell_angle_beta 90.00
_cell_angle_gamma 90.00
_space_group_name_H-M_alt 'F -4 3 m'
_space_group_IT_number 216
_space_group_name_Hall 'F -4 2 3'
loop_
_atom_site_label
_atom_site_type_symbol
_atom_site_fract_x
_atom_site_fract_y
_atom_site_fract_z
Ca1 Ca 0.0000 0.0000 0.0000
Pm1 Pm 0.0000 0.0000 0.5000
Mg1 Mg 0.2500 0.2500 0.2500
Ru1 Ru 0.2500 0.2500 0.7500
```

No. 3
For Mg3Zn2Rh2, a GGA-PBE-relaxed structure gives the theoretical X-ray diffraction stick pattern in this record (Cu Kα).
No peak broadening, texture or thermal motion is included.

Main lines, sorted by position (2θ = 10–90°):
hkl	2theta	Rel. int.
0 0 1	10.7	100.0
2 0 -1	18.6	28.4
1 1 1	35.1	19.2
2 0 -4	38.1	22.9
4 0 -1	39.1	11.8
1 1 2	41.5	53.9
3 1 -2	41.7	55.7